When We Was Rad:
Skateboard History from UK Vintage Magazine

Category: Adverts

  • Gullwing Trucks Advert February 1990

    Gullwing Phoenix: now there’s a name with history. In my case the history dates right back to working for Alpine Sports in 1978 and having to try to shift thousands of the original Phoenix and the earlier split axle Gullwings after the collapse of the first British skateboard craze. A lot of that was done…

  • Split Skates Advert February 1990

    Split Skates was a skateboard phenomenon for a while around this time. Their aim was to have the biggest range in stock and a glance at the wall of their Manchester shop suggested they’d hit the target. Despite the size of the Manchester scene, the city never got enough coverage: Warrington or Goshen always seemed…

  • Billys and Skateboard Gang Video Advert

    This Billys’ advert features their Fab Feb Sale with Blanks at £19.99 and various “surplus” decks at £29.99. Free griptape and Powell rails (or similar) with any deck over £40. “That’s about 13 quidsworth free.” They were also selling skate T-shirts at £9.99 which sounds more like the death throws of HSC in 2005. I’d…

  • Santa Cruz Big Balls Advert

    Santa Cruz adverts ran on the back of R.a.D magazine for most of its life, but this one, featuring Rob Roskopp montaged onto a picture of some surgery, was hidden away on page 10. That would almost certainly have been because of a fuss over another Slimeballs advert for Vomit or Spewage wheels which showed…

  • Death Box Alex Moul Advert

    A brilliant composite ad for Alex Moul, Death Box wunderkid at the time, Pete Dosset’s new deck and DoDo wheels. And a very prominent Vision patch too — shoe sponsors were probably the coming thing then. Does anyone have any idea who took the picture, please? Several photographers who were destined for great things were…

  • Rollersnakes Skateboard Mail Order Advert 1990

    This Rollernsakes advert is a classic if you want to see what prices were like in 1990. Santa Cruz, S.M.A and Magnusson decks all cost £43.99 while Powell and G & S were £47.99. A Death Box board would set you back £40. Stussy T-shirts were £14.99, Stussy TomTom shirts cost £32.99 and their Homeboy…

  • Vision Advert Inside Cover February 1990

    Grant Brittain supplied the photograph for this Vision advert. For some reason it shows their Californian address instead of the usual address for Shiner, their British distributors.

  • Pacer Street Scoot Advert

-- begin --
The following is a PBE-GGA calculation of a geometry-optimized Ho3UCl2O6 structure, from Alexandria via LeMat-Bulk.

Results
E_form (uncorrected) (meV per atom): -3018
Calculated total energy (eV/cell): -189.36
DOS at the Fermi energy (states/eV per cell): 0.35

abc: 12.0541 6.7307 5.4160
angles: 90.00 101.97 90.00
Closest atoms and distances in Å follow each position.
Space group C2/m (No. 12)
Inequivalent atoms, fractional coordinates:
Ho: 0.0000 0.0000 0.0000 [2 per cell]  4 O 2.33
Ho: 0.2500 0.2500 0.5000 [4 per cell]  4 O 2.18-2.27
U: 0.0000 0.5000 0.5000 [2 per cell]  6 O 2.12-2.26
Cl: 0.1954 0.0000 0.8351 [4 per cell]  3 Ho 2.66-2.69, 1 O 2.83
O: 0.0664 0.2509 0.2909 [8 per cell]  1 U 2.26, 2 Ho 2.27-2.33
-- stop --
End of the materials data.

    The legendary Dave Currey was both the featured rider and the designer of the advert. He also did the graphics on the scooter itself. Dave was a colossal influence at this time, but largely unrecognised — the Pacer advert hints at the work he was to do later for Vision. He then went on to…

  • Hills Skateboard Advert

    Hills were a BMX shop in Muswell Hill, London, who took to skating in a serious way. Their ads were very professional, but the skater in this shot is uncredited. The ramp is Chingford. Can someone help out with a name, please? Looking through this advert you can see all the usual suspects and it’s…

  • Spalding BMX Advert

    OJs, Slimeballs and Bullets for on £3.50! Skate T Shirts for £9.50 and complete Santa Cruz boards for around £60? I’m not sure what was going on there. Most of the advert was devoted to BMX, naturally enough, with complete bikes such as a Diamond Back Pro “Similar to Harry Leary” going for only £159,…